Given:
'''
Material: LaHfPS2O12
Method: DFT, PBE
State: relaxed

Summary:
- E (MP2020) (eV/atom) = -7.985
- formation enthalpy at 0 K (eV/atom) = -2.81
- space group = Cc

Structure (POSCAR):
```
LaHfPS2O12
1.0
-5.578 -7.204 1.913
2.346 1.856 -8.823
18.535 -13.812 2.031
O La S Hf P
72 6 12 6 6
Cartesian
3.531 -6.081 -4.884
11.045 -7.855 -2.495
5.885 -9.004 -1.584
3.795 -11.362 -4.038
4.996 -2.139 -7.620
16.521 -15.994 -2.924
3.857 -2.738 -1.386
7.755 -8.685 -5.678
15.942 -13.103 -5.262
10.783 -13.539 -5.411
13.307 -18.292 0.064
-3.024 -5.315 -0.093
10.848 -8.647 -6.107
6.727 -6.809 -0.715
9.015 -10.749 -3.714
18.276 -13.519 -1.917
14.485 -16.306 1.742
16.509 -11.861 -2.558
-2.739 -5.379 -3.180
-1.374 -3.224 -1.495
2.215 -6.292 0.484
4.449 -5.615 0.986
-2.962 -7.314 1.296
-1.661 -6.515 -5.040
14.166 -12.157 0.241
4.786 -4.061 -3.211
3.004 -8.533 -4.993
7.782 -14.353 0.005
5.175 -4.005 -6.052
7.951 -7.980 -2.570
15.530 -14.202 2.274
-0.906 -6.421 0.378
6.084 -14.696 1.820
2.008 -7.117 -3.185
5.757 -6.873 -3.065
0.517 -2.577 -3.078
4.136 -11.259 -1.660
12.010 -12.717 -0.632
7.122 -11.520 -2.368
0.178 -9.123 -0.768
2.328 -0.511 -5.614
9.502 -6.184 -4.711
0.306 -3.387 -6.685
9.481 -11.881 1.010
14.887 -16.249 -1.153
14.715 -14.374 -2.709
13.592 -11.563 -2.037
0.659 -4.677 -1.746
16.797 -9.594 -5.529
0.946 -2.458 -0.612
12.552 -10.383 -0.174
7.543 -4.761 -4.444
9.955 -9.507 1.060
14.621 -8.417 -5.998
1.183 -6.896 -5.584
-1.132 -7.153 -2.754
11.724 -19.231 1.766
10.267 -14.767 1.916
18.109 -14.187 -5.035
8.021 -12.886 -4.167
6.083 -6.962 -6.075
7.742 -10.286 0.409
14.301 -16.669 -3.447
5.923 -12.675 0.197
12.951 -12.838 -4.524
0.481 -10.956 0.740
4.788 -9.955 0.874
14.699 -10.532 -4.520
3.263 -11.170 2.287
9.324 -12.524 -2.146
10.070 -15.579 -1.756
10.393 -16.813 3.142
9.949 -13.904 -0.270
0.787 -6.863 -1.322
10.462 -19.145 3.656
0.282 -1.582 -5.067
9.567 -8.466 -4.057
6.757 -5.055 0.732
12.276 -13.571 -5.638
8.385 -11.911 -3.084
8.916 -10.570 1.316
17.213 -13.511 -5.966
15.109 -15.809 -2.577
6.646 -8.283 -6.536
13.082 -11.721 -0.631
-2.206 -6.059 0.936
5.390 -3.589 -7.470
5.135 -3.110 -2.099
-2.195 -6.701 -3.649
9.018 -4.801 -4.682
2.706 -2.017 0.296
11.973 -8.923 1.311
14.848 -12.276 -3.595
5.950 -10.817 -0.673
15.231 -17.705 0.338
5.418 -5.580 -4.555
17.748 -12.131 -1.596
2.417 -7.179 -4.650
0.184 -3.230 -1.743
6.593 -7.662 -1.964
15.461 -9.208 -4.929
6.307 -14.197 0.351
```

Material: Tc2As3
Method: DFT, PBE
State: relaxed

Summary:
- formation enthalpy at 0 K (eV/atom) = -0.28
- space group = P-1

Structure (POSCAR):
```
Tc2As3
1.0
6.668 0.000 0.000
-1.673 6.487 0.000
-1.626 -1.247 7.801
As Tc
12 8
Cartesian
-1.645 0.048 7.413
-1.635 4.794 5.351
-0.002 3.191 3.007
3.370 2.049 4.794
5.014 5.192 0.388
0.014 1.832 5.095
1.668 4.633 5.301
5.004 0.446 2.450
1.645 5.105 0.283
1.701 0.607 2.500
3.354 3.409 2.707
1.723 0.135 7.518
-1.791 2.653 6.694
1.846 2.625 6.764
1.523 2.615 1.037
1.502 5.152 2.845
1.866 0.088 4.956
5.160 2.587 1.107
4.852 0.026 4.875
-1.484 5.214 2.926
```

Material: Ni5Ge3
Method: DFT, PBE
State: relaxed

Summary:
- formation enthalpy at 0 K (eV/atom) = -0.31
- space group = C2/c

Structure (POSCAR):
```
Ni5Ge3
1.0
3.361 5.410 0.000
-3.361 5.410 0.000
0.000 3.268 5.444
Ge Ni
6 10
Cartesian
0.443 10.134 5.190
-0.443 8.500 2.468
-2.660 6.227 1.361
2.660 7.861 4.083
0.443 5.588 2.976
-0.443 3.954 0.254
1.680 2.705 0.000
-1.680 4.339 2.722
1.639 5.098 0.790
-1.639 8.990 4.653
0.590 9.207 0.457
-0.590 4.881 4.986
0.590 3.247 2.265
-0.590 10.841 3.179
1.639 7.356 1.931
-1.639 6.732 3.512
```

Material: LaMg
Method: DFT, PBE
State: relaxed

Summary:
- ΔE to the lowest computed polymorph (meV per atom) = 95
- formation enthalpy at 0 K (eV/atom) = -0.01
- space group = C2

Structure (POSCAR):
```
LaMg
1.0
3.035 5.263 0.000
-3.035 5.263 0.000
0.000 3.530 5.752
La Mg
3 3
Cartesian
2.059 6.955 0.043
2.059 7.101 5.709
-0.088 7.028 2.876
-1.003 5.263 0.000
0.004 3.545 2.883
0.004 10.510 2.869
```

Which formula does entry 2 have? Tc2As3
'''

Work order:
It remains to filter the rows earlier on: keep the lines with the word "Mg".

Done:
La Mg